Entries >
1.
Starting from DFT lattice parameters and positions (GGA-PBE), the X-ray diffraction stick pattern of Ga2SnAu4 was computed for Cu Kα, 1.54184 Å.
Kinematic intensities with the Lorentz-polarization factor, no thermal factor.

Cell and atoms:
```
Ga2SnAu4
1.0
7.7965 0.0000 0.0000
0.0000 10.1677 0.0000
0.0000 0.0000 3.5629
Ga Sn Au
4 2 8
Direct
0.2500 0.2500 0.0000
0.2500 0.7500 0.0000
0.7500 0.2500 0.0000
0.7500 0.7500 0.0000
0.0000 0.0000 0.5031
0.5000 0.5000 0.5031
0.0000 0.3054 0.5007
0.0000 0.6946 0.5007
0.1949 0.5000 0.0047
0.3051 0.0000 0.0047
0.5000 0.1946 0.5007
0.5000 0.8054 0.5007
0.6949 0.0000 0.0047
0.8051 0.5000 0.0047
```

Largest 8 diffraction maxima, in order of rising 2θ, 2θ = 10–90°:
2θ (°)  d_spacing  intensity
28.87  3.092  23
30.64  2.918  26
34.09  2.630  100
35.31  2.542  26
38.43  2.342  55
43.90  2.062  35
49.90  1.828  30
71.72  1.316  26


2.
Starting from DFT lattice parameters and positions (GGA-PBE), the X-ray diffraction stick pattern of Zn2Ga2Co3 was computed for Cu Kα, 1.54184 Å.
Kinematic intensities with the Lorentz-polarization factor, no thermal factor.

Cell and atoms:
```
Zn2Ga2Co3
1.0
7.0246 0.0000 0.0000
0.0000 4.0521 0.0000
-2.3523 0.0000 6.4706
Zn Ga Co
4 4 6
Direct
0.1309 0.0000 0.3931
0.3691 0.5000 0.6069
0.6309 0.5000 0.3931
0.8691 0.0000 0.6069
0.1148 0.5000 0.8444
0.3852 0.0000 0.1556
0.6148 0.0000 0.8444
0.8852 0.5000 0.1556
0.0000 0.0000 0.0000
0.2418 0.5000 0.2255
0.2582 0.0000 0.7745
0.5000 0.5000 0.0000
0.7418 0.0000 0.2255
0.7582 0.5000 0.7745
```

Largest 8 diffraction maxima, in order of rising 2θ, 2θ = 10–90°:
2θ (°)  d_spacing  intensity
31.45  2.844  12
41.50  2.176  18
44.71  2.027  100
45.44  1.996  81
65.57  1.424  8
65.69  1.421  17
82.41  1.170  15
82.93  1.164  25


3.
Starting from DFT lattice parameters and positions (GGA-PBE), the X-ray diffraction stick pattern of BaLiGa2Pt2 was computed for Cu Kα, 1.54184 Å.
Kinematic intensities with the Lorentz-polarization factor, no thermal factor.

Cell and atoms:
```
BaLiGa2Pt2
1.0
4.4087 0.0000 0.0000
-2.2044 3.8181 0.0000
0.0000 0.0000 7.5575
Ba Li Ga Pt
1 1 2 2
Direct
0.0000 0.0000 0.0000
0.0000 0.0000 0.5000
0.3333 0.6667 0.3382
0.6667 0.3333 0.6618
0.3333 0.6667 0.6834
0.6667 0.3333 0.3166
```

Largest 8 diffraction maxima, in order of rising 2θ, 2θ = 10–90°:
2θ (°)  d_spacing  intensity
26.15  3.408  100
33.36  2.686  59
35.64  2.519  31
40.94  2.204  70
49.23  1.851  18
55.38  1.659  53
65.89  1.417  15
85.48  1.136  16


4.
Starting from DFT lattice parameters and positions (GGA-PBE), the X-ray diffraction stick pattern of ZrAlPt5 was computed for Cu Kα, 1.54184 Å.
Kinematic intensities with the Lorentz-polarization factor, no thermal factor.

Cell and atoms:
```
ZrAlPt5
1.0
4.0371 0.0000 0.0000
0.0000 4.0371 0.0000
0.0000 0.0000 7.1383
Zr Al Pt
1 1 5
Direct
0.0000 0.0000 0.0000
0.5000 0.5000 0.5000
0.0000 0.5000 0.2845
0.0000 0.5000 0.7155
0.5000 0.0000 0.2845
0.5000 0.0000 0.7155
0.5000 0.5000 0.0000
```

Largest 8 diffraction maxima, in order of rising 2θ, 2θ = 10–90°:
2θ (°)  d_spacing  intensity
31.34  2.855  20
33.82  2.651  29
37.81  2.379  15
40.46  2.229  100
44.91  2.019  43
60.11  1.539  16
74.28  1.277  18
79.78  1.202  28


5.
Starting from DFT lattice parameters and positions (GGA-PBE), the X-ray diffraction stick pattern of Nd3Sm6Sc2 was computed for Cu Kα, 1.54184 Å.
Kinematic intensities with the Lorentz-polarization factor, no thermal factor.

Cell and atoms:
```
Nd3Sm6Sc2
1.0
2.8906 -6.0522 0.0000
2.8906 6.0522 0.0000
-0.0070 0.0000 10.3439
Nd Sm Sc
3 6 2
Direct
0.0000 0.0000 0.0000
0.2949 0.7051 0.0000
0.7051 0.2949 0.0000
0.1500 0.8483 0.3170
0.1517 0.8500 0.6829
0.4990 0.4990 0.2143
0.5010 0.5010 0.7857
0.8483 0.1500 0.3170
0.8500 0.1517 0.6829
0.3727 0.6273 0.5000
0.6273 0.3727 0.5000
```

Largest 8 diffraction maxima, in order of rising 2θ, 2θ = 10–90°:
2θ (°)  d_spacing  intensity
25.84  3.448  20
28.32  3.151  25
30.79  2.904  18
30.94  2.891  47
31.09  2.876  39
32.12  2.787  100

What to do >
What is needed: retype all of the listing earlier on without additions.

Solution >
1.
Starting from DFT lattice parameters and positions (GGA-PBE), the X-ray diffraction stick pattern of Ga2SnAu4 was computed for Cu Kα, 1.54184 Å.
Kinematic intensities with the Lorentz-polarization factor, no thermal factor.

Cell and atoms:
```
Ga2SnAu4
1.0
7.7965 0.0000 0.0000
0.0000 10.1677 0.0000
0.0000 0.0000 3.5629
Ga Sn Au
4 2 8
Direct
0.2500 0.2500 0.0000
0.2500 0.7500 0.0000
0.7500 0.2500 0.0000
0.7500 0.7500 0.0000
0.0000 0.0000 0.5031
0.5000 0.5000 0.5031
0.0000 0.3054 0.5007
0.0000 0.6946 0.5007
0.1949 0.5000 0.0047
0.3051 0.0000 0.0047
0.5000 0.1946 0.5007
0.5000 0.8054 0.5007
0.6949 0.0000 0.0047
0.8051 0.5000 0.0047
```

Largest 8 diffraction maxima, in order of rising 2θ, 2θ = 10–90°:
2θ (°)  d_spacing  intensity
28.87  3.092  23
30.64  2.918  26
34.09  2.630  100
35.31  2.542  26
38.43  2.342  55
43.90  2.062  35
49.90  1.828  30
71.72  1.316  26


2.
Starting from DFT lattice parameters and positions (GGA-PBE), the X-ray diffraction stick pattern of Zn2Ga2Co3 was computed for Cu Kα, 1.54184 Å.
Kinematic intensities with the Lorentz-polarization factor, no thermal factor.

Cell and atoms:
```
Zn2Ga2Co3
1.0
7.0246 0.0000 0.0000
0.0000 4.0521 0.0000
-2.3523 0.0000 6.4706
Zn Ga Co
4 4 6
Direct
0.1309 0.0000 0.3931
0.3691 0.5000 0.6069
0.6309 0.5000 0.3931
0.8691 0.0000 0.6069
0.1148 0.5000 0.8444
0.3852 0.0000 0.1556
0.6148 0.0000 0.8444
0.8852 0.5000 0.1556
0.0000 0.0000 0.0000
0.2418 0.5000 0.2255
0.2582 0.0000 0.7745
0.5000 0.5000 0.0000
0.7418 0.0000 0.2255
0.7582 0.5000 0.7745
```

Largest 8 diffraction maxima, in order of rising 2θ, 2θ = 10–90°:
2θ (°)  d_spacing  intensity
31.45  2.844  12
41.50  2.176  18
44.71  2.027  100
45.44  1.996  81
65.57  1.424  8
65.69  1.421  17
82.41  1.170  15
82.93  1.164  25


3.
Starting from DFT lattice parameters and positions (GGA-PBE), the X-ray diffraction stick pattern of BaLiGa2Pt2 was computed for Cu Kα, 1.54184 Å.
Kinematic intensities with the Lorentz-polarization factor, no thermal factor.

Cell and atoms:
```
BaLiGa2Pt2
1.0
4.4087 0.0000 0.0000
-2.2044 3.8181 0.0000
0.0000 0.0000 7.5575
Ba Li Ga Pt
1 1 2 2
Direct
0.0000 0.0000 0.0000
0.0000 0.0000 0.5000
0.3333 0.6667 0.3382
0.6667 0.3333 0.6618
0.3333 0.6667 0.6834
0.6667 0.3333 0.3166
```

Largest 8 diffraction maxima, in order of rising 2θ, 2θ = 10–90°:
2θ (°)  d_spacing  intensity
26.15  3.408  100
33.36  2.686  59
35.64  2.519  31
40.94  2.204  70
49.23  1.851  18
55.38  1.659  53
65.89  1.417  15
85.48  1.136  16


4.
Starting from DFT lattice parameters and positions (GGA-PBE), the X-ray diffraction stick pattern of ZrAlPt5 was computed for Cu Kα, 1.54184 Å.
Kinematic intensities with the Lorentz-polarization factor, no thermal factor.

Cell and atoms:
```
ZrAlPt5
1.0
4.0371 0.0000 0.0000
0.0000 4.0371 0.0000
0.0000 0.0000 7.1383
Zr Al Pt
1 1 5
Direct
0.0000 0.0000 0.0000
0.5000 0.5000 0.5000
0.0000 0.5000 0.2845
0.0000 0.5000 0.7155
0.5000 0.0000 0.2845
0.5000 0.0000 0.7155
0.5000 0.5000 0.0000
```

Largest 8 diffraction maxima, in order of rising 2θ, 2θ = 10–90°:
2θ (°)  d_spacing  intensity
31.34  2.855  20
33.82  2.651  29
37.81  2.379  15
40.46  2.229  100
44.91  2.019  43
60.11  1.539  16
74.28  1.277  18
79.78  1.202  28


5.
Starting from DFT lattice parameters and positions (GGA-PBE), the X-ray diffraction stick pattern of Nd3Sm6Sc2 was computed for Cu Kα, 1.54184 Å.
Kinematic intensities with the Lorentz-polarization factor, no thermal factor.

Cell and atoms:
```
Nd3Sm6Sc2
1.0
2.8906 -6.0522 0.0000
2.8906 6.0522 0.0000
-0.0070 0.0000 10.3439
Nd Sm Sc
3 6 2
Direct
0.0000 0.0000 0.0000
0.2949 0.7051 0.0000
0.7051 0.2949 0.0000
0.1500 0.8483 0.3170
0.1517 0.8500 0.6829
0.4990 0.4990 0.2143
0.5010 0.5010 0.7857
0.8483 0.1500 0.3170
0.8500 0.1517 0.6829
0.3727 0.6273 0.5000
0.6273 0.3727 0.5000
```

Largest 8 diffraction maxima, in order of rising 2θ, 2θ = 10–90°:
2θ (°)  d_spacing  intensity
25.84  3.448  20
28.32  3.151  25
30.79  2.904  18
30.94  2.891  47
31.09  2.876  39
32.12  2.787  100